The first (posted) coordinates (N 14deg 35.97min E 120deg 59.05min) are the intersection of R-8 and Paterno St, labeled Yurakeun Japanese.
The second (your inferred) coordinates (N 14deg 35.00min E 120deg 59.00min) are within Rizal Park, quite a walk away. Those are both from your own graphics.
(It's more interesting to me that the park's postal code is 666 as you say (low-to-medium confirmation level) and that the US Embassy is right across the intersection to the southwest of the park (low level). But these too go hardly anywhere.)
**These records of molecules were left in the text by mistake:**
........
[1]
........
My conclusion is that your abundant research ended up rounding off the coordinates and coming up with a false rabbit trail. If we are intended to base a serious conclusion off the fact that rounding down to the minute (among many other possible data manipulation methods) yields a postal code of 666 and so we must keep digging despite no big numerical confirms, I prefer to stick to less nuanced proofs. I hope to post a thread on good and bad numerology. Hope to see you on that thread.
Someone pasted calculated molecules at this point >
____________
[1]
The following is a DFT calculation (the ωB97M-V functional and the def2-TZVPD basis) of a 2-piece molecular cluster, C2H8N2O3S overall at a distorted geometry.

Output
Electronic energy (a.u.): -814.244560
Gap between HOMO and LUMO (spin up / spin down) (eV): 6.3 / 9.3
HOMO energy (spin up / spin down) (eV): -8.156 / -9.215
LUMO energy (spin up / spin down) (eV): -1.8 / 0.1
Energy above the lowest of the compared OMol25 structures with the same formula, charge and spin (eV): 4.744

```
16
Properties=species:S:1:pos:R:3:forces:R:3:nbo_charge:R:1
C -0.50279 1.96866 0.14826 1.2 3.7 -3.0 -0.466
C 1.44529 0.79258 0.84848 0.6 -4.4 -0.9 -0.465
N -0.24635 -2.87618 -0.83559 1.8 -0.4 1.3 -1.057
N 0.03565 0.92134 0.88013 -0.6 -0.3 0.9 0.082
O -2.25943 -1.64537 -1.44819 -0.6 0.0 0.7 -0.892
O -0.21275 -0.33336 -1.44542 0.7 -0.6 0.5 -0.923
O -0.70366 0.10391 1.50663 0.4 -0.1 -0.8 -0.405
S -1.01848 -1.33828 -0.77111 -0.2 -1.0 -1.2 1.942
H -0.41862 1.78971 -0.98718 -0.4 0.0 1.7 0.249
H -1.47249 2.32804 0.40742 -0.9 -0.6 0.4 0.236
H 0.14383 2.92460 0.27353 -0.7 -1.5 0.1 0.197
H 1.64439 0.03964 1.64442 0.5 1.4 0.2 0.239
H 1.80278 0.11957 -0.04644 -0.8 1.6 0.9 0.220
H 1.88111 1.75281 0.78081 0.9 0.7 0.5 0.221
H 0.80603 -2.92034 -0.46493 -3.4 0.1 -0.7 0.407
H -0.92452 -3.62732 -0.49082 1.6 1.4 -0.4 0.416
```
Forces are in eV/Å.



[2]
The following is a DFT calculation (the ωB97M-V functional and the def2-TZVPD basis) of an isolated molecule of CH4FINP at a distorted geometry.

Output
Electronic energy (a.u.): -834.070336
Gap between HOMO and LUMO (spin up / spin down) (eV): 7.0 / 7.6
HOMO energy (spin up / spin down) (eV): -8.276 / -8.430
LUMO energy (spin up / spin down) (eV): -1.3 / -0.9
Energy above the lowest of the compared OMol25 structures with the same formula, charge and spin (eV): 3.844

```
9
Properties=species:S:1:pos:R:3:forces:R:3:nbo_charge:R:1
C -1.42919 0.66893 -0.13096 0.6 2.2 -0.9 -0.479
N -0.62635 0.58401 1.06825 0.8 3.7 -2.1 -0.552
F 3.11684 -2.42863 -0.52603 0.2 0.7 -0.7 -0.600
P 3.10142 -0.93906 -1.20607 -0.8 -0.5 1.7 0.685
I 1.76707 0.11510 0.65238 1.2 -0.2 -1.3 0.038
H -1.30309 1.66252 -0.68296 0.1 -1.2 0.9 0.193
H -1.48504 -0.08711 -0.91018 0.6 -0.6 0.3 0.194
H -2.37748 0.70119 0.32632 -1.9 0.2 0.1 0.217
H -0.76417 -0.27694 1.40926 -0.7 -4.3 1.9 0.305
```
Forces are in eV/Å.



Q: Number 2 is which compound?
A: CH4FINP



Q: electronic energy of number 1 (C2H8N2O3S)?
A: -814.244560 a.u.



Q: Look up the electronic energy of the second one.
A: -834.070336 a.u.
____________
So much for the calculated molecules >
Okay so the postal code you can see as your zooming in/out of on Google Maps.
Look at Rizal Park - be on a desktop computer - within google maps the bottom right corner click the orange guy. It illuminates the map of the pathways.
The first (posted) coordinates (N 14deg 35.97min E 120deg 59.05min) are the intersection of R-8 and Paterno St, labeled Yurakeun Japanese.
The second (your inferred) coordinates (N 14deg 35.00min E 120deg 59.00min) are within Rizal Park, quite a walk away. Those are both from your own graphics.
(It's more interesting to me that the park's postal code is 666 as you say (low-to-medium confirmation level) and that the US Embassy is right across the intersection to the southwest of the park (low level). But these too go hardly anywhere.)
**Between two parts of the entry: calculated molecules**
- - -
Below is a structure of composition C25H57IN11O29PS2 at a distorted geometry, with properties calculated with ωB97M-V/def2-TZVPD.

Geometry as XYZ:
```
126
Properties=species:S:1:pos:R:3
C -2.672 1.345 1.761
C -1.223 1.625 1.435
C -0.299 0.448 0.671
C -0.122 -0.659 1.914
C -0.740 -2.150 1.548
C 0.136 -3.009 0.463
C -0.687 -4.447 0.243
O -0.108 -5.611 0.558
O -2.093 -4.429 -0.263
O -1.209 -0.193 -0.276
S -1.605 0.721 -1.630
O -2.535 1.915 -1.454
O -2.328 -0.261 -2.635
C 0.061 1.103 -2.499
C -0.120 1.833 -3.928
C -1.128 3.075 -4.089
N -2.368 2.592 -4.871
O 0.604 -0.250 -2.622
C 1.573 -0.507 -3.635
C 0.920 -1.377 -4.907
C 0.948 1.888 -1.356
S 0.242 3.615 -0.915
I 2.952 2.544 -2.127
C 1.107 1.018 0.069
C 2.368 -0.019 0.005
P 3.959 0.568 0.913
O 4.182 -0.360 2.205
O 3.938 2.207 1.469
O 5.403 0.296 -0.085
H -3.546 1.876 1.146
H -2.902 0.618 2.671
H -0.770 2.671 1.758
H -0.725 -0.329 2.891
H 0.984 -0.777 2.275
H -0.669 -2.763 2.572
H -1.910 -2.125 1.316
H 1.197 -3.250 0.900
H 0.266 -2.440 -0.574
H -2.041 -4.834 -1.199
H -0.508 0.998 -4.692
H 0.932 2.164 -4.387
H -0.658 3.927 -4.780
H -1.535 3.605 -3.144
H -2.771 3.364 -5.446
H -3.098 2.314 -4.149
H 2.190 0.360 -4.096
H 2.382 -1.261 -3.178
H -0.218 -1.141 -5.070
H 0.962 -2.513 -4.544
H 1.576 -1.330 -5.875
H 0.755 3.987 0.353
H 1.439 1.865 0.846
H 2.724 -0.290 -1.104
H 2.156 -1.099 0.469
H 3.396 2.822 0.894
H 5.179 -0.298 -0.863
C -6.159 1.284 -7.438
N -5.170 2.172 -6.769
O -4.145 2.455 -7.401
O -5.451 2.561 -5.630
H -5.784 1.021 -8.429
H -6.272 0.392 -6.819
H -7.098 1.835 -7.515
C -4.625 -4.454 3.036
N -3.636 -3.565 3.704
O -2.611 -3.283 3.073
O -3.917 -3.177 4.844
H -4.250 -4.717 2.044
H -4.738 -5.346 3.655
H -5.564 -3.902 2.959
C -6.476 -2.867 7.483
N -7.240 -3.916 6.755
O -6.945 -4.111 5.571
O -8.114 -4.513 7.394
H -5.744 -2.427 6.802
H -7.190 -2.113 7.821
H -5.977 -3.348 8.327
C -0.913 2.097 -8.957
N 0.212 1.380 -8.298
O 1.359 1.703 -8.627
O -0.089 0.513 -7.469
H -0.504 2.827 -9.658
H -1.515 1.353 -9.483
H -1.491 2.594 -8.175
C -2.829 0.211 6.802
N -3.979 0.336 7.738
O -4.503 -0.712 8.133
O -4.324 1.482 8.048
H -2.637 -0.848 6.618
H -3.101 0.721 5.876
H -1.966 0.683 7.277
C 4.476 4.432 -9.518
N 3.489 4.615 -8.420
O 3.899 4.475 -7.262
O 2.331 4.894 -8.751
H 5.448 4.191 -9.083
H 4.121 3.612 -10.147
H 4.525 5.369 -10.077
C 5.946 -2.160 3.844
N 6.381 -3.583 3.837
- - -
My conclusion is that your abundant research ended up rounding off the coordinates and coming up with a false rabbit trail. If we are intended to base a serious conclusion off the fact that rounding down to the minute (among many other possible data manipulation methods) yields a postal code of 666 and so we must keep digging despite no big numerical confirms, I prefer to stick to less nuanced proofs. I hope to post a thread on good and bad numerology. Hope to see you on that thread.
Okay so the postal code you can see as your zooming in/out of on Google Maps.
Look at Rizal Park - be on a desktop computer - within google maps the bottom right corner click the orange guy. It illuminates the map of the pathways.